Material:
No. 1
21
Properties=species:S:1:pos:R:3 method="wB97M-V/def2-TZVPD" max_force_ev_per_a=16.664 multiplicity=1 lumo_energy_ha=-0.33341 orbital_gap_ev=3.61 charge=+2
C -0.771 -1.079 -0.842
C 1.975 -1.009 1.624
H 1.646 -0.157 -1.766
H -0.080 1.569 -1.547
P 1.234 0.695 1.125
H -2.707 0.300 -0.108
Si 0.532 0.387 -0.957
C 2.510 2.109 1.249
H 2.620 -1.381 0.700
H 2.590 -0.897 2.614
H -1.153 -1.212 0.280
H -3.899 0.098 -1.559
C -3.125 -0.487 -0.899
H -3.593 -1.406 -0.328
H -0.242 -2.117 -1.099
O -1.939 -0.863 -1.724
H 1.036 -1.731 1.775
H 3.427 2.025 0.527
H 1.944 3.151 1.120
H 2.919 2.101 2.369
Ba -4.923 -0.098 -2.554

No. 2
20
Properties=species:S:1:pos:R:3 method="wB97M-V/def2-TZVPD" s2=0.7523 max_force_ev_per_a=2.381 multiplicity=2 lumo_energy_ha="-0.34585 / -0.34268" orbital_gap_ev="7.33 / 7.44" charge=+2
Ce 0.175 2.049 -2.186
C -2.126 0.132 -0.421
H 0.803 0.907 1.741
C -1.374 -0.618 0.682
H 0.790 -0.443 -1.953
H -3.200 -0.036 -0.423
Cl -2.005 1.974 -0.264
C 1.680 0.609 1.166
H -0.353 -2.019 -0.621
H 2.125 0.938 -1.257
H 0.371 -1.881 0.967
H -2.062 -1.385 1.046
H 2.267 -1.102 -0.497
H -1.725 -0.100 -1.413
C -0.102 -1.304 0.167
H 0.112 1.015 -0.563
H 2.289 1.499 0.993
P 1.224 -0.160 -0.440
H -1.181 0.022 1.543
H 2.291 -0.095 1.734

No. 3
32
Properties=species:S:1:pos:R:3 method="wB97M-V/def2-TZVPD" s2=0.7528 max_force_ev_per_a=0.603 multiplicity=2 lumo_energy_ha="0.07823 / 0.06153" orbital_gap_ev="6.64 / 6.19" charge=-1
N -2.506 -1.519 -0.886
Se -3.403 2.584 0.811
H 1.233 1.566 -2.108
O -1.670 -2.174 -1.475
Cu -0.059 -0.500 0.125
H 2.311 -0.579 0.750
H 2.217 1.224 2.026
N 0.413 -0.335 -1.971
C 1.567 0.531 -2.195
O 2.297 -2.317 1.238
H 3.438 0.920 -1.188
Se -2.135 -0.611 3.275
O 0.176 -2.186 1.217
O -2.035 -0.667 -0.041
H -0.407 1.110 2.127
C 2.600 0.219 -1.115
C 0.753 2.265 0.862
N 1.216 -2.791 1.599
N 2.001 0.236 0.214
H 2.903 2.103 0.656
N -0.348 1.351 1.138
H 2.015 0.405 -3.186
H 2.989 -0.788 -1.285
H -0.416 -0.052 -2.478
H 0.585 -1.304 -2.216
C 2.059 1.482 0.977
H 0.628 2.652 -0.151
H -1.266 1.750 0.907
Se -5.908 -0.782 1.425
H 0.776 3.122 1.544
Sb -3.941 0.488 1.888
Se -3.621 0.832 4.483

No. 4
31
Properties=species:S:1:pos:R:3 method="wB97M-V/def2-TZVPD" max_force_ev_per_a=3.419 multiplicity=1 lumo_energy_ha=0.25331 orbital_gap_ev=4.22 charge=-3
C -0.338 3.219 0.340
H -1.858 1.780 0.768
O 0.340 2.266 -0.463
H -0.472 -2.996 -0.587
H -1.878 -1.035 0.281
O -1.121 -1.091 -0.308
O 3.215 -0.814 -2.988
C -1.234 -2.328 -0.993
H -0.756 1.945 2.105
H -1.899 3.270 1.792
O 2.465 -1.727 0.166
O 1.734 -1.605 3.064
O 1.935 0.707 2.362
H -3.146 -2.722 -0.035
O 1.090 0.020 -2.188
H -3.222 -2.514 -1.880
Hg 1.099 0.156 0.162
O 0.555 0.043 4.394
O 3.092 0.820 -1.242
O 2.540 1.447 -3.571
S 1.040 -0.317 3.043
H -0.996 -2.189 -2.051
O -0.029 -0.393 2.023
H -0.983 3.835 -0.298
C -2.666 -2.861 -1.008
H 0.701 2.707 -1.242
S 2.500 0.394 -2.558
H 1.860 -2.399 -0.167
H 0.361 3.823 0.927
H -2.665 -3.947 -1.171
C -1.265 2.510 1.324

No. 5
22
Properties=species:S:1:pos:R:3 method="wB97M-V/def2-TZVPD" max_force_ev_per_a=0.632 multiplicity=1 lumo_energy_ha=-0.10379 orbital_gap_ev=10.52 charge=+1
H -0.925 -1.261 -2.138
C -0.052 2.701 -2.836
O -0.110 1.035 -1.145
N 0.316 0.257 2.485
H -0.927 -1.380 2.595
N -0.381 -0.871 1.907
H 0.321 -1.522 1.570
H -0.833 1.037 -5.055
Li -0.176 0.671 0.503
H 0.052 -0.476 -5.192
H 0.006 -1.791 -3.549
C 0.039 0.490 -4.698
H -0.912 3.210 -2.402
H 0.992 -0.023 3.187
C -0.063 1.277 -2.373
H -0.071 2.816 -3.913
H 0.942 1.027 -4.986
N -0.019 0.280 -3.251
H 0.842 3.181 -2.437
H -0.373 0.823 2.970
C -0.025 -1.085 -2.727
H 0.844 -1.249 -2.089

No. 6
18
Properties=species:S:1:pos:R:3 method="wB97M-V/def2-TZVPD" max_force_ev_per_a=0.867 multiplicity=1 lumo_energy_ha=0.03948 smiles=CCC.CN orbital_gap_ev=10.43
H -1.137 1.221 0.017
H 2.744 2.598 0.995
H 2.982 0.977 0.330
H -1.272 -0.239 0.926
C 2.273 1.624 0.853
C -1.058 0.138 -0.076
H 2.792 0.778 2.635
H -0.954 -2.498 -0.667
H -0.536 -1.716 -2.178
H -0.020 -0.148 -0.260

Assignment:
Type out only the lines further above with the word "No" in them, please.

Here it is:
No. 1
No. 2
No. 3
No. 4
No. 5
No. 6